A Visit from Santa
December 2000

“A Visit from Santa,” Friend, Dec. 2000, 26–27

A Visit from Santa

## Between two parts of the entry: calculated crystals
/*
(1)
VASP calculation (PBE) on an optimized crystal structure of Al2S3.

a b c (Å): 6.847 7.122 22.047
angles (deg): 83.63 83.99 63.53
Positions (direct):
1 Al 0.000 0.000 0.000
2 Al 0.003 0.766 0.345
3 Al 0.231 0.489 0.938
4 Al 0.325 0.330 0.271
5 Al 0.435 0.878 0.848
6 Al 0.501 0.423 0.402
7 Al 0.512 0.146 0.891
8 Al 0.768 0.866 0.658
9 Al 0.841 0.237 0.207
10 Al 0.906 0.290 0.831
11 Al 0.942 0.218 0.381
12 Al 0.960 0.823 0.780
13 S 0.094 0.782 0.684
14 S 0.108 0.664 0.021
15 S 0.128 0.062 0.144
16 S 0.211 0.715 0.852
17 S 0.242 0.191 0.794
18 S 0.288 0.634 0.476
19 S 0.305 0.147 0.363
20 S 0.350 0.608 0.310
21 S 0.465 0.987 0.626
22 S 0.513 0.300 0.181
23 S 0.704 0.163 0.792
24 S 0.745 0.645 0.795
25 S 0.788 0.248 0.932
26 S 0.815 0.587 0.322
27 S 0.827 0.098 0.304
28 S 0.964 0.497 0.234
29 S 0.976 0.225 0.064
30 S 0.988 0.860 0.441

The formation energy is -0.864 eV/atom. Its space group is No. 1.

(2)
VASP calculation (PBE) on an optimized crystal structure of Al2S3.

a b c (Å): 6.610 6.610 17.281
angles (deg): 90.00 90.00 120.00
Positions (direct):
1 Al 0.006 0.306 0.000
2 Al 0.009 0.351 0.366
3 Al 0.301 0.994 0.667
4 Al 0.306 0.301 0.833
5 Al 0.342 0.991 0.032
6 Al 0.351 0.342 0.199
7 Al 0.649 0.658 0.699
8 Al 0.658 0.009 0.532
9 Al 0.694 0.699 0.333
10 Al 0.699 0.006 0.167
11 Al 0.991 0.649 0.866
12 Al 0.994 0.694 0.500
13 S 0.003 0.660 0.998
14 S 0.041 0.706 0.357
15 S 0.045 0.346 0.144
16 S 0.294 0.334 0.690
17 S 0.301 0.955 0.811
18 S 0.334 0.041 0.524
19 S 0.340 0.343 0.331
20 S 0.343 0.003 0.164
21 S 0.346 0.301 0.978
22 S 0.654 0.699 0.478
23 S 0.657 0.997 0.664
24 S 0.660 0.657 0.831
25 S 0.666 0.959 0.024
26 S 0.699 0.045 0.311
27 S 0.706 0.666 0.190
28 S 0.955 0.654 0.644
29 S 0.959 0.294 0.857
30 S 0.997 0.340 0.498

The formation energy is -1.358 eV/atom. Its space group is No. 169.

(3)
VASP calculation (PBE) on an optimized crystal structure of Al2ZnSe2S2.

a b c (Å): 6.339 3.786 6.935
angles (deg): 90.00 90.44 90.00
Positions (direct):
1 Al 0.000 0.000 0.000
2 Al 0.435 0.000 0.321
3 Zn 0.990 0.500 0.515
4 Se 0.833 0.000 0.326
5 Se 0.833 0.500 0.839
6 S 0.345 0.000 0.016
7 S 0.359 0.500 0.501

The formation energy is -1.014 eV/atom. The calculation puts the relative energy among the computed polymorphs at 43.4 meV per atom. Its space group is No. 6.

(4)
VASP calculation (PBE) on an optimized crystal structure of Al2ZnSe2S2.

a b c (Å): 7.688 10.681 5.492
angles (deg): 90.00 134.08 90.00
Positions (direct):
1 Al 0.000 0.000 0.000
2 Al 0.000 0.240 0.500
3 Al 0.500 0.500 0.000
4 Al 0.500 0.740 0.500
5 Zn 0.000 0.499 0.000
6 Zn 0.500 0.999 0.000
7 Se 0.232 0.863 0.488
8 Se 0.268 0.363 0.512
9 Se 0.732 0.363 0.488
10 Se 0.768 0.863 0.512
11 S 0.236 0.125 0.988
12 S 0.264 0.625 0.012
13 S 0.736 0.625 0.988
14 S 0.764 0.125 0.012

The formation energy is -1.057 eV/atom. The calculation puts the relative energy among the computed polymorphs at 0.0 meV per atom. Its space group is No. 5.

(5)
*/
## The entry goes on

Pure religion and undefiled before God and the Father is this, To visit the fatherless and widows in their affliction, and to keep himself unspotted from the world (James 1:27).

This year I was asked to be Santa in the school play. I was thrilled! I borrowed my papa’s Santa suit. All the little kids were excited when I walked into the gym all dressed up in the white beard and red suit. It was really fun being Santa. The best part was yet to come.

My papa dresses up like Santa every year and visits the nursing home in our town. It makes the older people there so happy. He told me that I should go to the nursing home dressed in the Santa suit and that it would probably be my favorite part of Christmas.

So after the play at school, my mom brought some oranges and we went to the nursing home. My little brother, Jaden, came along as Santa’s helper. I already knew a lot of the people there because our school class had visited the nursing home several times. I hoped that they wouldn’t recognize me!

Materials data, as found in the file.
/*
Density functional theory data (PBE) for a geometry-optimized Hg2As3Br structure.

Computed properties:
**Energy relative to the elements**: -230 meV/atom
**SG**: C2/c
**Total energy**: -2.84 eV per atom

```
Hg2As3Br
1.0
4.154 -4.756 0.000
4.154 4.756 0.000
-1.246 0.000 8.295
Hg As Br
4 6 2
direct
0.093 0.358 0.159
0.358 0.093 0.659
0.642 0.907 0.341
0.907 0.642 0.841
0.296 0.704 0.750
0.312 0.433 0.517
0.433 0.312 0.017
0.567 0.688 0.983
0.688 0.567 0.483
0.704 0.296 0.250
0.135 0.865 0.250
0.865 0.135 0.750
```


Density functional theory data (PBE) for a geometry-optimized In2Hg8As5Br7 structure.

Computed properties:
**Energy relative to the elements**: -397 meV/atom
**Magnetization**: 0.004 μB per atom
**SG**: P-3m1
**Total energy**: -2.17 eV per atom

```
In2Hg8As5Br7
1.0
8.114 0.000 0.000
-4.057 7.027 0.000
0.000 0.000 14.092
In Hg As Br
2 8 5 7
direct
0.000 0.000 0.187
0.000 0.000 0.813
0.000 0.500 0.000
0.000 0.500 0.500
0.333 0.667 0.251
0.500 0.000 0.000
0.500 0.000 0.500
0.500 0.500 0.000
0.500 0.500 0.500
0.667 0.333 0.749
0.000 0.000 0.000
0.333 0.667 0.070
0.333 0.667 0.432
0.667 0.333 0.568
0.667 0.333 0.930
0.000 0.000 0.500
0.172 0.344 0.750
0.172 0.828 0.750
0.344 0.172 0.250
0.656 0.828 0.750
0.828 0.172 0.250
0.828 0.656 0.250
```


Density functional theory data (PBE) for a geometry-optimized K2HgAsBr6 structure.

Computed properties:
**Energy relative to the elements**: -1228 meV/atom
**Magnetization**: 0.005 μB per atom
**SG**: Fm-3m
**Total energy**: -2.61 eV per atom

```
K2HgAsBr6
1.0
0.000 5.600 5.600
5.600 0.000 5.600
5.600 5.600 0.000
K Hg As Br
2 1 1 6
direct
0.250 0.250 0.250
0.750 0.750 0.750
0.000 0.000 0.000
0.500 0.500 0.500
0.261 0.261 0.739
0.261 0.739 0.261
0.261 0.739 0.739
0.739 0.261 0.261
0.739 0.261 0.739
0.739 0.739 0.261
```


Density functional theory data (PBE) for a geometry-optimized Rb2HgAsBr6 structure.

Computed properties:
**Energy relative to the elements**: -1266 meV/atom
**Magnetization**: 0.005 μB per atom
**SG**: Fm-3m
**Total energy**: -2.62 eV per atom

```
Rb2HgAsBr6
1.0
0.000 5.627 5.627
5.627 0.000 5.627
5.627 5.627 0.000
Rb Hg As Br
2 1 1 6
direct
0.250 0.250 0.250
0.750 0.750 0.750
0.000 0.000 0.000
0.500 0.500 0.500
0.262 0.262 0.738
0.262 0.738 0.262
0.262 0.738 0.738
0.738 0.262 0.262
0.738 0.262 0.738
0.738 0.738 0.262
```


Density functional theory data (PBE) for a geometry-optimized Hg3As8S8Br6 structure.

Computed properties:
**Energy relative to the elements**: -547 meV/atom
**Magnetization**: 0.000 μB per atom
**SG**: P2_1/c
**Total energy**: -3.50 eV per atom

```
Hg3As8S8Br6
1.0
10.201 0.000 0.000
0.000 11.956 0.000
-4.522 0.000 13.941
Hg As S Br
6 16 16 12
direct
0.000 0.000 0.000
0.000 0.500 0.500
0.241 0.221 0.306
0.241 0.279 0.806
0.759 0.721 0.194
0.759 0.779 0.694
0.132 0.674 0.024
0.132 0.826 0.524
0.372 0.646 0.683
0.372 0.854 0.183
0.378 0.585 0.082
0.378 0.915 0.582
0.387 0.635 0.507
0.387 0.865 0.007
0.613 0.135 0.993
0.613 0.365 0.493
0.622 0.085 0.418
*/

When I walked in the door, I started ringing some Christmas bells that I had brought and shouting, “Merry Christmas!” A group of little grandmas was sitting at the end of the hall. When they heard the bells, they all looked at me and smiled. I gave them each an orange and visited with them. One lady asked, “Why have you come to see me?” I told her that I had come because it was Christmas and I wanted to make sure that she was being good. They all wanted their picture taken with Santa.

But the best part was when I went to visit Bill. He wasn’t in the hall. He was in his room with the door closed. That’s where Bill always is. He never speaks, and he usually doesn’t like visitors at all. I knew that because I had tried to make friends with him before but had never had any luck. The nurse was worried about me going into his room. I asked her if I could see him for just a minute. She opened the door, and I could see Bill lying with his back toward me, watching TV. I started to jingle the bells. As soon as Bill heard the bells, he slowly turned toward me. He sat up on his bed, and he got the biggest smile on his face. I wished him a merry Christmas and gave him a hug. He looked just like a little boy on Christmas morning. The nurse who was with me had a tear running down her cheek. She said that she had never seen Bill smile before.

My papa was right. I had the best feeling that night. I think that visiting the nursing home as Santa was one of my favorite parts of Christmas.

Ornaments background © Photospin
